Search code examples

Scripted field regex not working on multiple node

I would like to create a scripted field based on cs_uri_query column. I was using elasticsearch 7.5 until 7.6 when i created this regex formula. It was working fine in scripted field on index A. Now i've upgraded my elasticsearch into 7.7 and i've ingested index B to my elasticsearch. Index B and Index A have the same format (same everything in columns) so i would like to use the same regex formula. But unfortunately when i copy my index A scripted field into index B.

it returning this error on index B

 "root_cause": [
   "type": "script_exception",
   "reason": "compile error",
   "script_stack": [
    "... = 0) return '';\r\ndef m = /(...(?=&custid))/.matche ...",
    "                             ^---- HERE"
   "script": "if (doc['cs_uri_query.keyword'].size() == 0) return '';\r\ndef m = /(...(?=&custid))/.matcher(doc['cs_uri_query.keyword'].value);\r\nif(m.find () )\r\n{return } \r\nelse { return \"No ID\" }",
   "lang": "painless",
   "position": {
    "offset": 65,
    "start": 40,
    "end": 90
 "type": "search_phase_execution_exception",
 "reason": "all shards failed",
 "phase": "query",
 "grouped": true,
 "failed_shards": [
   "shard": 0,
   "index": "janmei",
   "node": "KVuYPKPBRIO-mIQu0lS3LQ",
   "reason": {
    "type": "script_exception",
    "reason": "compile error",
    "script_stack": [
     "... = 0) return '';\r\ndef m = /(...(?=&custid))/.matche ...",
     "                             ^---- HERE"
    "script": "if (doc['cs_uri_query.keyword'].size() == 0) return '';\r\ndef m = /(...(?=&custid))/.matcher(doc['cs_uri_query.keyword'].value);\r\nif(m.find () )\r\n{return } \r\nelse { return \"No ID\" }",
    "lang": "painless",
    "position": {
     "offset": 65,
     "start": 40,
     "end": 90
    "caused_by": {
     "type": "illegal_state_exception",
     "reason": "Regexes are disabled. Set [script.painless.regex.enabled] to [true] in elasticsearch.yaml to allow them. Be careful though, regexes break out of Painless's protection against deep recursion and long loops."


id=000&custid=77777777&[email protected]

scripted field

if (doc['cs_uri_query.keyword'].size() == 0) return '';
def m = /(...(?=&custid))/.matcher(doc['cs_uri_query.keyword'].value);
if(m.find () )
{return } 
else { return "No ID" }

### Materials data, kept here for reference
- - -
Entry 1:
# TaCo4
Calculated XRD peak list, Cu Kα (λ = 1.5418 Å). Input: a crystal structure in OQMD, relaxed with PBE.
Neutral-atom scattering factors, no anomalous dispersion.

Most intense lines, 10° ≤ 2θ ≤ 90°, low angle first:
d = 6.268 Å, 14.13°, intensity 39; d = 2.498 Å, 35.95°, intensity 21; d = 2.338 Å, 38.51°, intensity 27; d = 2.150 Å, 42.03°, intensity 32; d = 2.089 Å, 43.31°, intensity 30; d = 2.068 Å, 43.78°, intensity 25; d = 2.014 Å, 45.02°, intensity 54; d = 1.953 Å, 46.49°, intensity 100; d = 1.908 Å, 47.67°, intensity 28; d = 1.262 Å, 75.32°, intensity 23

Atomic structure:
Unit cell a=8.8643 b=8.8643 c=4.6756 alpha=90.00 beta=90.00 gamma=90.00
Sites, in units of the cell vectors:
1 Ta 0.0000 0.0000 0.0000
2 Ta 0.1186 0.1186 0.5000
3 Ta 0.3814 0.6186 0.0000
4 Ta 0.5000 0.5000 0.5000
5 Ta 0.6186 0.3814 0.0000
6 Ta 0.8814 0.8814 0.5000
7 Co 0.0387 0.3756 0.5000
8 Co 0.0662 0.2724 0.0000
9 Co 0.1244 0.5387 0.0000
10 Co 0.1859 0.8141 0.2542
11 Co 0.1859 0.8141 0.7458
12 Co 0.2276 0.5662 0.5000
13 Co 0.2724 0.0662 0.0000
14 Co 0.3141 0.3141 0.2458
15 Co 0.3141 0.3141 0.7542
16 Co 0.3756 0.0387 0.5000
17 Co 0.4338 0.7724 0.5000
18 Co 0.4613 0.8756 0.0000
19 Co 0.5387 0.1244 0.0000
20 Co 0.5662 0.2276 0.5000
21 Co 0.6244 0.9613 0.5000
22 Co 0.6859 0.6859 0.2458
23 Co 0.6859 0.6859 0.7542
24 Co 0.7276 0.9338 0.0000
25 Co 0.7724 0.4338 0.5000
26 Co 0.8141 0.1859 0.2542
27 Co 0.8141 0.1859 0.7458
28 Co 0.8756 0.4613 0.0000
29 Co 0.9338 0.7276 0.0000
30 Co 0.9613 0.6244 0.5000

=====

Entry 2:
# Ta3Co10
Calculated XRD peak list, Cu Kα (λ = 1.5418 Å). Input: a crystal structure in OQMD, relaxed with PBE.
Neutral-atom scattering factors, no anomalous dispersion.

Most intense lines, 10° ≤ 2θ ≤ 90°, low angle first:
d = 8.357 Å, 10.59°, intensity 95; d = 2.495 Å, 35.99°, intensity 25; d = 2.381 Å, 37.78°, intensity 80; d = 2.290 Å, 39.34°, intensity 29; d = 2.142 Å, 42.18°, intensity 23; d = 2.069 Å, 43.75°, intensity 100; d = 1.995 Å, 45.47°, intensity 61; d = 1.907 Å, 47.68°, intensity 33; d = 1.287 Å, 73.61°, intensity 30; d = 1.191 Å, 80.70°, intensity 25

Atomic structure:
Unit cell a=8.7978 b=8.7978 c=8.7978 alpha=31.41 beta=31.41 gamma=31.41
Sites, in units of the cell vectors:
1 Ta 0.0000 0.0000 0.0000
2 Ta 0.3564 0.3564 0.3564
3 Ta 0.6436 0.6436 0.6436
4 Co 0.0860 0.0860 0.5752
5 Co 0.0860 0.5752 0.0860
6 Co 0.1640 0.1640 0.1640
7 Co 0.4248 0.9140 0.9140
8 Co 0.4556 0.4556 0.4556
9 Co 0.5444 0.5444 0.5444
10 Co 0.5752 0.0860 0.0860
11 Co 0.8360 0.8360 0.8360
12 Co 0.9140 0.4248 0.9140
13 Co 0.9140 0.9140 0.4248

=====

Entry 3:
# Ta4Co9
Calculated XRD peak list, Cu Kα (λ = 1.5418 Å). Input: a crystal structure in OQMD, relaxed with PBE.
Neutral-atom scattering factors, no anomalous dispersion.

Most intense lines, 10° ≤ 2θ ≤ 90°, low angle first:
- - -

i was copy the exact same script from index A to index B. Can someone explain this to me? Thank you so much


  • As the error states,

    Regexes are disabled. Set [script.painless.regex.enabled] to [true] in elasticsearch.yaml to allow them. Be careful though, regexes break out of Painless's protection against deep recursion and long loops.

    You need to set

    script.painless.regex.enabled: true

    in your elasticsearch.yml fiel and restart ES.